File:
┌──
Molecular formula: C5H5ClNO2S
Method: DFT, wB97M-V/def2-TZVPD

ORCA input file:
```
! RIJCOSX wB97M-V def2-TZVPD def2/J DEFGRID3
* xyz -1 3
C -0.42559 2.26506 -0.21183
C 2.17685 -0.17962 0.41177
C -0.24730 0.19155 1.30613
C 0.65168 0.34574 0.07139
C -0.03971 -1.14774 -1.47061
N 0.49370 1.49388 -0.58166
O 2.66181 -0.89480 -0.42566
O 2.54712 0.44961 1.40328
S -1.26503 1.69800 1.24467
Cl -1.71539 -0.98005 -1.48722
H -0.58207 3.14217 -0.84900
H -0.81243 -0.74674 1.36683
H 0.62365 0.24624 2.13828
H 0.52455 -1.97364 -0.88494
H 0.49634 -0.79318 -2.42674
*
```

The calculation puts the LUMO energy (alpha / beta) at 3.161 / 2.384 eV. For the electronic energy, the calculation gives -1257.03413 Ha. As for the expectation value of S²: 2.016. The HOMO-LUMO gap (alpha / beta) comes out at 0.1841 / 0.2534 hartree.

=====

Molecular formula: C5H5ClO2
Method: DFT, wB97M-V/def2-TZVPD

ORCA input file:
```
! RIJCOSX wB97M-V def2-TZVPD def2/J DEFGRID3
* xyz 0 1
C -0.18370 -0.60242 1.67684
C 0.21264 0.10837 0.39423
C 1.40068 0.65314 0.25049
Cl 1.90447 1.59177 -1.12105
C -0.88696 0.24669 -0.61039
O -2.02455 0.52678 -0.31256
C -0.63357 -0.15131 -2.07907
O 0.24269 -0.90195 -2.41740
H -1.05832 -0.10920 2.11693
H 0.63627 -0.54377 2.39638
H -0.40790 -1.68586 1.46198
H 2.17282 0.58761 0.99916
H -1.37458 0.28014 -2.75553
*
```

The calculation puts the LUMO energy at -0.608 eV. For the electronic energy, the calculation gives -804.15153 Ha. As for the SMILES: C/C(=C/Cl)C(=O)C=O. The HOMO-LUMO gap comes out at 0.3439 hartree.

=====

Molecular formula: C5H5ClOS
Method: DFT, wB97M-V/def2-TZVPD

ORCA input file:
```
! RIJCOSX wB97M-V def2-TZVPD def2/J DEFGRID3
* xyz 0 1
S -0.06997 -2.29631 -1.08180
C 1.10474 -1.34090 -0.10628
C 0.34973 -0.08782 0.22491
C 0.21966 1.01934 -0.62766
C -0.96394 1.81722 -0.05306
Cl -1.57981 3.43625 -0.26734
C -1.26118 1.12008 1.04713
O -0.67526 -0.20310 1.11529
H 0.70630 -3.27091 -0.57246
H 1.88890 -0.95156 -0.64534
H 1.64787 -1.63330 0.81109
H 0.60409 1.14957 -1.60050
H -1.97113 1.24146 1.75600
*
```

The calculation puts the LUMO energy at 0.734 eV. For the electronic energy, the calculation gives -1127.04903 Ha. As for the SMILES: SCc1cc(Cl)co1. The HOMO-LUMO gap comes out at 0.3536 hartree.

=====

Molecular formula: C5H5F
Method: DFT, wB97M-V/def2-TZVPD

ORCA input file:
```
! RIJCOSX wB97M-V def2-TZVPD def2/J DEFGRID3
* xyz 0 1
F 0.42022 -2.55833 -0.40633
C 0.13811 -1.24975 -0.23374
C 0.82905 -0.23989 -0.79146
C 0.31578 1.04246 -0.20632
C -0.82648 0.57936 0.65272
C -0.81168 -0.74085 0.64130
H 1.67490 -0.20327 -1.47286
H 0.11241 1.83205 -0.94793
H 1.10245 1.49730 0.39017
H -1.43056 1.30098 1.12108
H -1.52420 -1.26005 1.25338
*
```

The calculation puts the LUMO energy at 1.117 eV. For the electronic energy, the calculation gives -293.33515 Ha. As for the SMILES: FC1=CCC=C1. The HOMO-LUMO gap comes out at 0.3588 hartree.

=====

Molecular formula: C5H5F2N
Method: DFT, wB97M-V/def2-TZVPD

ORCA input file:
```
! RIJCOSX wB97M-V def2-TZVPD def2/J DEFGRID3
* xyz 0 1
F 2.64362 -0.66364 -0.27928
C 1.32974 -0.26630 -0.07567
C 0.90772 1.05572 -0.05058
F 1.72743 2.18805 -0.09278
C -0.51045 0.91019 0.30833
N -1.35125 0.74122 -0.87067
C -0.93323 -0.45208 0.19417
C 0.28992 -1.32902 -0.08965
H -0.75306 1.59481 1.16686
H -2.36861 0.97294 -0.68635
H -1.66782 -0.80174 0.89996
H 0.24067 -1.89598 -1.07760
H 0.44533 -2.05417 0.65326
*
```

The calculation puts the LUMO energy at 0.853 eV. For the electronic energy, the calculation gives -447.90032 Ha. As for the SMILES: FC1=C(F)[C@H]2N[C@H]2C1. The HOMO-LUMO gap comes out at 0.3731 hartree.

=====

Molecular formula: C5H5F2N
Method: DFT, wB97M-V/def2-TZVPD

ORCA input file:
```
! RIJCOSX wB97M-V def2-TZVPD def2/J DEFGRID3
* xyz 0 1
N 3.57249 -1.26386 0.82215
C 2.70971 -0.74867 0.26768
C 1.61904 -0.00808 -0.29916
F 2.13121 0.75794 -1.30287
C 0.15381 -0.54334 -0.77821
C -0.52060 0.62012 -0.03894
C 0.75774 1.04952 0.65605
F 0.99471 2.33002 0.75413
H -0.22504 -1.44495 -0.38688
└──

Work order:
Repeat everything above without altering anything, please.

Here it is:
Molecular formula: C5H5ClNO2S
Method: DFT, wB97M-V/def2-TZVPD

ORCA input file:
```
! RIJCOSX wB97M-V def2-TZVPD def2/J DEFGRID3
* xyz -1 3
C -0.42559 2.26506 -0.21183
C 2.17685 -0.17962 0.41177
C -0.24730 0.19155 1.30613
C 0.65168 0.34574 0.07139
C -0.03971 -1.14774 -1.47061
N 0.49370 1.49388 -0.58166
O 2.66181 -0.89480 -0.42566
O 2.54712 0.44961 1.40328
S -1.26503 1.69800 1.24467
Cl -1.71539 -0.98005 -1.48722
H -0.58207 3.14217 -0.84900
H -0.81243 -0.74674 1.36683
H 0.62365 0.24624 2.13828
H 0.52455 -1.97364 -0.88494
H 0.49634 -0.79318 -2.42674
*
```

The calculation puts the LUMO energy (alpha / beta) at 3.161 / 2.384 eV. For the electronic energy, the calculation gives -1257.03413 Ha. As for the expectation value of S²: 2.016. The HOMO-LUMO gap (alpha / beta) comes out at 0.1841 / 0.2534 hartree.

=====

Molecular formula: C5H5ClO2
Method: DFT, wB97M-V/def2-TZVPD

ORCA input file:
```
! RIJCOSX wB97M-V def2-TZVPD def2/J DEFGRID3
* xyz 0 1
C -0.18370 -0.60242 1.67684
C 0.21264 0.10837 0.39423
C 1.40068 0.65314 0.25049
Cl 1.90447 1.59177 -1.12105
C -0.88696 0.24669 -0.61039
O -2.02455 0.52678 -0.31256
C -0.63357 -0.15131 -2.07907
O 0.24269 -0.90195 -2.41740
H -1.05832 -0.10920 2.11693
H 0.63627 -0.54377 2.39638
H -0.40790 -1.68586 1.46198
H 2.17282 0.58761 0.99916
H -1.37458 0.28014 -2.75553
*
```

The calculation puts the LUMO energy at -0.608 eV. For the electronic energy, the calculation gives -804.15153 Ha. As for the SMILES: C/C(=C/Cl)C(=O)C=O. The HOMO-LUMO gap comes out at 0.3439 hartree.

=====

Molecular formula: C5H5ClOS
Method: DFT, wB97M-V/def2-TZVPD

ORCA input file:
```
! RIJCOSX wB97M-V def2-TZVPD def2/J DEFGRID3
* xyz 0 1
S -0.06997 -2.29631 -1.08180
C 1.10474 -1.34090 -0.10628
C 0.34973 -0.08782 0.22491
C 0.21966 1.01934 -0.62766
C -0.96394 1.81722 -0.05306
Cl -1.57981 3.43625 -0.26734
C -1.26118 1.12008 1.04713
O -0.67526 -0.20310 1.11529
H 0.70630 -3.27091 -0.57246
H 1.88890 -0.95156 -0.64534
H 1.64787 -1.63330 0.81109
H 0.60409 1.14957 -1.60050
H -1.97113 1.24146 1.75600
*
```

The calculation puts the LUMO energy at 0.734 eV. For the electronic energy, the calculation gives -1127.04903 Ha. As for the SMILES: SCc1cc(Cl)co1. The HOMO-LUMO gap comes out at 0.3536 hartree.

=====

Molecular formula: C5H5F
Method: DFT, wB97M-V/def2-TZVPD

ORCA input file:
```
! RIJCOSX wB97M-V def2-TZVPD def2/J DEFGRID3
* xyz 0 1
F 0.42022 -2.55833 -0.40633
C 0.13811 -1.24975 -0.23374
C 0.82905 -0.23989 -0.79146
C 0.31578 1.04246 -0.20632
C -0.82648 0.57936 0.65272
C -0.81168 -0.74085 0.64130
H 1.67490 -0.20327 -1.47286
H 0.11241 1.83205 -0.94793
H 1.10245 1.49730 0.39017
H -1.43056 1.30098 1.12108
H -1.52420 -1.26005 1.25338
*
```

The calculation puts the LUMO energy at 1.117 eV. For the electronic energy, the calculation gives -293.33515 Ha. As for the SMILES: FC1=CCC=C1. The HOMO-LUMO gap comes out at 0.3588 hartree.

=====

Molecular formula: C5H5F2N
Method: DFT, wB97M-V/def2-TZVPD

ORCA input file:
```
! RIJCOSX wB97M-V def2-TZVPD def2/J DEFGRID3
* xyz 0 1
F 2.64362 -0.66364 -0.27928
C 1.32974 -0.26630 -0.07567
C 0.90772 1.05572 -0.05058
F 1.72743 2.18805 -0.09278
C -0.51045 0.91019 0.30833
N -1.35125 0.74122 -0.87067
C -0.93323 -0.45208 0.19417
C 0.28992 -1.32902 -0.08965
H -0.75306 1.59481 1.16686
H -2.36861 0.97294 -0.68635
H -1.66782 -0.80174 0.89996
H 0.24067 -1.89598 -1.07760
H 0.44533 -2.05417 0.65326
*
```

The calculation puts the LUMO energy at 0.853 eV. For the electronic energy, the calculation gives -447.90032 Ha. As for the SMILES: FC1=C(F)[C@H]2N[C@H]2C1. The HOMO-LUMO gap comes out at 0.3731 hartree.

=====

Molecular formula: C5H5F2N
Method: DFT, wB97M-V/def2-TZVPD

ORCA input file:
```
! RIJCOSX wB97M-V def2-TZVPD def2/J DEFGRID3
* xyz 0 1
N 3.57249 -1.26386 0.82215
C 2.70971 -0.74867 0.26768
C 1.61904 -0.00808 -0.29916
F 2.13121 0.75794 -1.30287
C 0.15381 -0.54334 -0.77821
C -0.52060 0.62012 -0.03894
C 0.75774 1.04952 0.65605
F 0.99471 2.33002 0.75413
H -0.22504 -1.44495 -0.38688